Input
/*
Run 1
Below is LiCuTcSb after structural relaxation, with properties calculated at the GGA-PBE level.

Summary:
As for the size of the total moment: 0.12 μB per cell. Its theoretical density is 8.144 g/cm3. Its crystal system is cubic.

Cell and atoms, written as CIF:
```
data_LiCuTcSb
_symmetry_space_group_name_H-M 'F -4 3 m'
_symmetry_Int_Tables_number 216
_symmetry_space_group_name_Hall 'F -4 2 3'
_cell_length_a 6.186
_cell_length_b 6.186
_cell_length_c 6.186
_cell_angle_alpha 90.00
_cell_angle_beta 90.00
_cell_angle_gamma 90.00
loop_
_atom_site_label
_atom_site_type_symbol
_atom_site_fract_x
_atom_site_fract_y
_atom_site_fract_z
Li1 Li 0.000 0.000 0.000
Cu1 Cu 0.000 0.000 0.500
Tc1 Tc 0.250 0.250 0.750
Sb1 Sb 0.250 0.250 0.250
```

Run 2
Below is LiCuTcSb after structural relaxation, with properties calculated at the GGA-PBE level.

Summary:
As for the size of the total moment: 0.00 μB per cell. Its theoretical density is 8.029 g/cm3. Its crystal system is cubic.

Cell and atoms, written as CIF:
```
data_LiCuTcSb
_symmetry_space_group_name_H-M 'F -4 3 m'
_symmetry_Int_Tables_number 216
_symmetry_space_group_name_Hall 'F -4 2 3'
_cell_length_a 6.215
_cell_length_b 6.215
_cell_length_c 6.215
_cell_angle_alpha 90.00
_cell_angle_beta 90.00
_cell_angle_gamma 90.00
loop_
_atom_site_label
_atom_site_type_symbol
_atom_site_fract_x
_atom_site_fract_y
_atom_site_fract_z
Li1 Li 0.000 0.000 0.000
Cu1 Cu 0.250 0.250 0.750
Tc1 Tc 0.250 0.250 0.250
Sb1 Sb 0.000 0.000 0.500
```

The structure with the greatest stability is run 2.

Run 1
Below is LiCuSbW after structural relaxation, with properties calculated at the GGA-PBE level.

Summary:
As for the size of the total moment: 6.18 μB per cell. Its theoretical density is 9.956 g/cm3. Its crystal system is cubic.

Cell and atoms, written as CIF:
```
data_LiCuSbW
_symmetry_space_group_name_H-M 'F -4 3 m'
_symmetry_Int_Tables_number 216
_symmetry_space_group_name_Hall 'F -4 2 3'
_cell_length_a 6.307
_cell_length_b 6.307
_cell_length_c 6.307
_cell_angle_alpha 90.00
_cell_angle_beta 90.00
_cell_angle_gamma 90.00
loop_
_atom_site_label
_atom_site_type_symbol
_atom_site_fract_x
_atom_site_fract_y
_atom_site_fract_z
Li1 Li 0.000 0.000 0.000
Cu1 Cu 0.000 0.000 0.500
Sb1 Sb 0.250 0.250 0.250
W1 W 0.250 0.250 0.750
```

Run 2
Below is LiCuSbW after structural relaxation, with properties calculated at the GGA-PBE level.

Summary:
As for the size of the total moment: 0.06 μB per cell. Its theoretical density is 9.888 g/cm3. Its crystal system is cubic.

Cell and atoms, written as CIF:
```
data_LiCuSbW
_symmetry_space_group_name_H-M 'F -4 3 m'
_symmetry_Int_Tables_number 216
_symmetry_space_group_name_Hall 'F -4 2 3'
_cell_length_a 6.322
_cell_length_b 6.322
_cell_length_c 6.322
_cell_angle_alpha 90.00
_cell_angle_beta 90.00
_cell_angle_gamma 90.00
loop_
_atom_site_label
_atom_site_type_symbol
_atom_site_fract_x
_atom_site_fract_y
_atom_site_fract_z
Li1 Li 0.000 0.000 0.000
Cu1 Cu 0.250 0.250 0.750
Sb1 Sb 0.000 0.000 0.500
W1 W 0.250 0.250 0.250
```

The structure with the greatest stability is run 2.

Run 1
Below is LiYCuSb after structural relaxation, with properties calculated at the GGA-PBE level.

Summary:
As for the size of the total moment: 0.00 μB per cell. Its theoretical density is 6.173 g/cm3. Its crystal system is cubic.

Cell and atoms, written as CIF:
```
data_LiYCuSb
_symmetry_space_group_name_H-M 'F -4 3 m'
_symmetry_Int_Tables_number 216
_symmetry_space_group_name_Hall 'F -4 2 3'
_cell_length_a 6.713
_cell_length_b 6.713
_cell_length_c 6.713
_cell_angle_alpha 90.00
_cell_angle_beta 90.00
_cell_angle_gamma 90.00
loop_
_atom_site_label
_atom_site_type_symbol
_atom_site_fract_x
_atom_site_fract_y
_atom_site_fract_z
Li1 Li 0.000 0.000 0.000
Y1 Y 0.250 0.250 0.750
Cu1 Cu 0.000 0.000 0.500
Sb1 Sb 0.250 0.250 0.250
```

Run 2
Below is LiYCuSb after structural relaxation, with properties calculated at the GGA-PBE level.

Summary:
*/

What to do
Next, type out all of the entries earlier on verbatim.

Solution
Run 1
Below is LiCuTcSb after structural relaxation, with properties calculated at the GGA-PBE level.

Summary:
As for the size of the total moment: 0.12 μB per cell. Its theoretical density is 8.144 g/cm3. Its crystal system is cubic.

Cell and atoms, written as CIF:
```
data_LiCuTcSb
_symmetry_space_group_name_H-M 'F -4 3 m'
_symmetry_Int_Tables_number 216
_symmetry_space_group_name_Hall 'F -4 2 3'
_cell_length_a 6.186
_cell_length_b 6.186
_cell_length_c 6.186
_cell_angle_alpha 90.00
_cell_angle_beta 90.00
_cell_angle_gamma 90.00
loop_
_atom_site_label
_atom_site_type_symbol
_atom_site_fract_x
_atom_site_fract_y
_atom_site_fract_z
Li1 Li 0.000 0.000 0.000
Cu1 Cu 0.000 0.000 0.500
Tc1 Tc 0.250 0.250 0.750
Sb1 Sb 0.250 0.250 0.250
```

Run 2
Below is LiCuTcSb after structural relaxation, with properties calculated at the GGA-PBE level.

Summary:
As for the size of the total moment: 0.00 μB per cell. Its theoretical density is 8.029 g/cm3. Its crystal system is cubic.

Cell and atoms, written as CIF:
```
data_LiCuTcSb
_symmetry_space_group_name_H-M 'F -4 3 m'
_symmetry_Int_Tables_number 216
_symmetry_space_group_name_Hall 'F -4 2 3'
_cell_length_a 6.215
_cell_length_b 6.215
_cell_length_c 6.215
_cell_angle_alpha 90.00
_cell_angle_beta 90.00
_cell_angle_gamma 90.00
loop_
_atom_site_label
_atom_site_type_symbol
_atom_site_fract_x
_atom_site_fract_y
_atom_site_fract_z
Li1 Li 0.000 0.000 0.000
Cu1 Cu 0.250 0.250 0.750
Tc1 Tc 0.250 0.250 0.250
Sb1 Sb 0.000 0.000 0.500
```

The structure with the greatest stability is run 2.

Run 1
Below is LiCuSbW after structural relaxation, with properties calculated at the GGA-PBE level.

Summary:
As for the size of the total moment: 6.18 μB per cell. Its theoretical density is 9.956 g/cm3. Its crystal system is cubic.

Cell and atoms, written as CIF:
```
data_LiCuSbW
_symmetry_space_group_name_H-M 'F -4 3 m'
_symmetry_Int_Tables_number 216
_symmetry_space_group_name_Hall 'F -4 2 3'
_cell_length_a 6.307
_cell_length_b 6.307
_cell_length_c 6.307
_cell_angle_alpha 90.00
_cell_angle_beta 90.00
_cell_angle_gamma 90.00
loop_
_atom_site_label
_atom_site_type_symbol
_atom_site_fract_x
_atom_site_fract_y
_atom_site_fract_z
Li1 Li 0.000 0.000 0.000
Cu1 Cu 0.000 0.000 0.500
Sb1 Sb 0.250 0.250 0.250
W1 W 0.250 0.250 0.750
```

Run 2
Below is LiCuSbW after structural relaxation, with properties calculated at the GGA-PBE level.

Summary:
As for the size of the total moment: 0.06 μB per cell. Its theoretical density is 9.888 g/cm3. Its crystal system is cubic.

Cell and atoms, written as CIF:
```
data_LiCuSbW
_symmetry_space_group_name_H-M 'F -4 3 m'
_symmetry_Int_Tables_number 216
_symmetry_space_group_name_Hall 'F -4 2 3'
_cell_length_a 6.322
_cell_length_b 6.322
_cell_length_c 6.322
_cell_angle_alpha 90.00
_cell_angle_beta 90.00
_cell_angle_gamma 90.00
loop_
_atom_site_label
_atom_site_type_symbol
_atom_site_fract_x
_atom_site_fract_y
_atom_site_fract_z
Li1 Li 0.000 0.000 0.000
Cu1 Cu 0.250 0.250 0.750
Sb1 Sb 0.000 0.000 0.500
W1 W 0.250 0.250 0.250
```

The structure with the greatest stability is run 2.

Run 1
Below is LiYCuSb after structural relaxation, with properties calculated at the GGA-PBE level.

Summary:
As for the size of the total moment: 0.00 μB per cell. Its theoretical density is 6.173 g/cm3. Its crystal system is cubic.

Cell and atoms, written as CIF:
```
data_LiYCuSb
_symmetry_space_group_name_H-M 'F -4 3 m'
_symmetry_Int_Tables_number 216
_symmetry_space_group_name_Hall 'F -4 2 3'
_cell_length_a 6.713
_cell_length_b 6.713
_cell_length_c 6.713
_cell_angle_alpha 90.00
_cell_angle_beta 90.00
_cell_angle_gamma 90.00
loop_
_atom_site_label
_atom_site_type_symbol
_atom_site_fract_x
_atom_site_fract_y
_atom_site_fract_z
Li1 Li 0.000 0.000 0.000
Y1 Y 0.250 0.250 0.750
Cu1 Cu 0.000 0.000 0.500
Sb1 Sb 0.250 0.250 0.250
```

Run 2
Below is LiYCuSb after structural relaxation, with properties calculated at the GGA-PBE level.

Summary: